To do >
The reader should search the lines further down for the word "charge" and quote each line that has it.
File >
Density functional theory data (ωB97M-V/def2-TZVPD) for the molecule C3H6FN in a non-equilibrium geometry.

```
11
C3H6FN, DFT ωB97M-V/def2-TZVPD
N 1.46 0.73 -0.01
C 1.04 -0.69 0.03
C -0.44 -0.51 -0.07
C -1.41 0.44 -0.01
F -2.69 -0.05 0.07
H 1.04 1.24 0.77
H 1.05 1.07 -0.82
H 1.16 -1.09 1.11
H 1.56 -1.42 -0.50
H -1.19 -1.37 -0.44
H -1.60 1.64 -0.12
```

Properties
- total energy (eV) = -7412.9406
- ΔE to the lowest compared entry with this formula, charge and spin (kJ/mol) = 185.36
- HOMO (hartree) = -0.33889
- HOMO-LUMO gap (eV) = 10.22
- SMILES = NC/C=C/F

Results of the natural (NBO) charge analysis, in e, for atoms 1 through 4: N -0.808; C -0.261; C -0.306; C 0.179



Density functional theory data (ωB97M-V/def2-TZVPD) for a structure of composition C46H44N6P2STeZr in a non-equilibrium geometry.

```
101
C46H44N6P2STeZr, DFT ωB97M-V/def2-TZVPD
Zr -0.02 0.00 -0.10
N -0.59 -3.83 2.21
C -0.59 -2.90 1.26
S 0.92 -2.30 0.67
N -1.76 -2.51 0.78
N -1.69 -1.46 -0.04
C -2.70 -1.28 -0.82
C -2.72 -0.10 -1.66
C -3.77 0.15 -2.53
C -3.78 1.31 -3.28
C -2.73 2.21 -3.12
C -1.71 1.89 -2.25
N -1.68 0.76 -1.52
H 0.27 -4.25 2.50
H -1.47 -4.24 2.50
H -3.52 -1.98 -0.83
H -4.57 -0.58 -2.61
H -4.59 1.53 -3.96
H -2.71 3.14 -3.66
H -0.88 2.57 -2.09
Te 0.66 3.69 1.45
C 1.38 4.84 3.09
C 2.28 5.88 2.90
C 2.71 6.59 4.02
N 2.30 6.32 5.25
C 1.43 5.33 5.42
C 0.94 4.56 4.37
C 0.41 1.85 2.61
P -1.16 1.23 1.92
C -1.96 0.09 3.09
C -3.16 -0.50 2.67
C -3.85 -1.35 3.52
C -3.36 -1.61 4.79
C -2.20 -0.99 5.23
C -1.50 -0.14 4.38
C -2.36 2.60 2.01
C -2.59 3.22 3.23
C -3.51 4.25 3.32
C -4.23 4.64 2.20
C -4.01 4.02 0.98
C -3.08 3.00 0.88
P 1.70 0.79 1.84
C 2.20 -0.48 3.08
C 1.82 -0.41 4.41
C 2.36 -1.30 5.34
C 3.30 -2.23 4.94
C 3.73 -2.26 3.62
C 3.19 -1.39 2.70
C 3.30 1.67 2.02
C 3.54 2.42 3.17
C 4.80 2.94 3.40
C 5.83 2.69 2.50
C 5.60 1.94 1.36
C 4.33 1.43 1.12
H 2.66 6.13 1.92
H 3.42 7.40 3.92
H 1.11 5.14 6.44
H 0.25 3.75 4.56
H -3.55 -0.28 1.69
H -4.78 -1.80 3.19
H -3.90 -2.28 5.45
H -1.83 -1.17 6.23
H -0.61 0.36 4.73
H -2.04 2.89 4.11
H -3.68 4.74 4.26
H -4.96 5.43 2.27
H -4.56 4.33 0.10
H -2.90 2.51 -0.06
H 1.14 0.36 4.73
H 2.05 -1.24 6.38
H 3.72 -2.92 5.66
H 4.51 -2.95 3.32
H 3.54 -1.41 1.67
H 2.74 2.57 3.89
H 4.98 3.53 4.29
H 6.82 3.07 2.70
H 6.41 1.73 0.67
H 4.13 0.81 0.25
C 4.03 3.41 -1.23
N 3.01 3.88 -2.21
C 2.72 5.32 -2.03
C 1.75 3.06 -2.14
C 1.91 1.62 -2.56
C 2.60 1.37 -3.74
C 2.72 0.08 -4.24
C 2.11 -0.96 -3.57
C 1.41 -0.69 -2.40
C 1.30 0.59 -1.82
H 4.95 3.98 -1.35
H 4.22 2.36 -1.39
H 3.63 3.55 -0.22
H 3.41 3.74 -3.14
H 2.31 5.47 -1.04
H 2.00 5.65 -2.78
H 3.64 5.90 -2.14
H 1.03 3.57 -2.79
H 1.41 3.12 -1.11
H 3.04 2.18 -4.32
H 3.26 -0.10 -5.16
H 2.16 -1.97 -3.95
H 0.93 -1.55 -1.92
```

Properties
- total energy (eV) = -95329.1663
- ΔE to the lowest compared entry with this formula, charge and spin (kJ/mol) = 161.68
- charge = +2
- HOMO (hartree) = -0.44176
- HOMO-LUMO gap (eV) = 5.48

Results of the Löwdin charge analysis, in e, for atoms 1 through 4: Zr 1.226; N 0.144; C -0.804; S 0.699



Density functional theory data (ωB97M-V/def2-TZVPD) for a structure of composition C22H19B2F4N8ORu.

```
57
C22H19B2F4N8ORu, DFT ωB97M-V/def2-TZVPD
Ru -0.46 1.35 -0.19
B 1.38 2.30 2.61
N 0.16 1.35 2.81
C -0.21 0.79 3.96
C -1.43 0.16 3.79
C -1.74 0.40 2.45
N -0.78 1.11 1.87
N 2.21 1.79 1.39
C 3.54 1.70 1.30
C 3.88 1.39 -0.01
C 2.64 1.30 -0.66
N 1.66 1.54 0.20
H 1.00 3.42 2.39
H 2.07 2.21 3.59
H 0.42 0.89 4.83
H -2.01 -0.38 4.51
H -2.59 0.09 1.88
H 4.16 1.88 2.17
H 4.86 1.26 -0.43
H 2.42 1.09 -1.69
F 0.67 4.04 -0.18
C -0.57 3.41 -0.32
F -1.37 4.05 0.64
H -0.94 3.77 -1.28
O -0.01 1.38 -2.19
N -0.50 0.45 -2.89
C -0.15 0.35 -4.18
C 0.60 1.42 -4.76
N 1.21 2.25 -5.26
C -0.27 -0.86 -4.91
N -0.33 -1.80 -5.57
C -2.63 -2.35 -3.18
C -2.43 -1.02 -3.12
C -1.43 -0.44 -2.23
C -0.75 -1.38 -1.30
C -0.83 -2.79 -1.60
C -1.75 -3.24 -2.47
N -0.25 -0.82 -0.24
C 0.29 -1.63 0.79
C -0.54 -2.49 1.50
C -0.03 -3.25 2.54
C 1.31 -3.15 2.89
C 2.14 -2.29 2.18
C 1.64 -1.53 1.14
H -3.41 -2.76 -3.80
Completed >
- ΔE to the lowest compared entry with this formula, charge and spin (kJ/mol) = 185.36
Results of the natural (NBO) charge analysis, in e, for atoms 1 through 4: N -0.808; C -0.261; C -0.306; C 0.179
- ΔE to the lowest compared entry with this formula, charge and spin (kJ/mol) = 161.68
- charge = +2
Results of the Löwdin charge analysis, in e, for atoms 1 through 4: Zr 1.226; N 0.144; C -0.804; S 0.699